Listing >
********
A structure of composition C18H29GaN2O11, computed with the ωB97M-V functional and the def2-TZVPD basis.

Orbital gap in Ha: 0.1301
Energy above the lowest of the compared OMol25 structures with the same formula, charge and spin in kcal/mol: 0.0
Total energy in eV: -97015.00420

The geometry in ORCA input format:
```
! RIJCOSX wB97M-V def2-TZVPD def2/J DEFGRID3
* xyz -2 1
Ga -1.895 1.258 -2.097
O -1.068 -4.107 -1.877
O 2.682 1.609 2.494
O 1.010 0.743 1.250
O 4.467 -1.183 4.326
O 4.721 -3.257 3.576
O 5.739 -2.633 5.486
O -2.257 -2.446 -2.838
O -4.140 0.306 -3.680
O -1.680 -4.212 -4.045
O 0.678 2.577 2.512
O -2.987 1.976 -4.617
N -0.505 4.226 -0.102
N -2.822 1.352 -0.368
C 3.923 -1.198 2.991
C -1.642 -0.435 0.864
C -2.259 -3.503 -6.302
C 1.398 1.564 2.005
C 2.848 2.868 3.148
C -2.564 -2.097 -4.197
C -0.170 3.417 -1.048
C 3.725 -3.135 1.345
C 1.424 3.202 3.557
C 3.662 -2.671 2.775
C -2.626 -3.463 -4.841
C -4.091 0.222 1.357
C -2.833 0.441 0.497
C -3.215 1.172 -3.683
C 1.091 4.669 3.637
C -0.846 3.078 -2.286
C -1.624 -3.611 -2.814
C 5.041 -2.383 4.551
H -1.017 -0.678 0.009
H -0.146 2.970 -3.113
H 1.796 5.180 4.297
H -1.930 -1.365 1.368
H 0.084 4.814 4.024
H -1.631 3.803 -2.512
H -4.385 1.185 1.781
H 3.243 3.587 2.424
H -0.834 0.021 -2.133
H -1.747 -1.478 -4.578
H -1.039 0.139 1.567
H -3.952 -0.490 2.176
H 3.047 -2.538 0.734
H -3.610 -3.916 -4.676
H 2.712 -2.961 3.231
H 0.780 2.894 -0.874
H 1.176 2.689 4.494
H 4.741 -3.035 0.960
H 3.534 2.772 3.987
H 3.032 -0.587 2.931
H -1.403 4.651 -0.349
H -1.206 -3.251 -6.429
H 4.677 -0.805 2.305
H -2.866 -2.783 -6.852
H -2.422 -4.496 -6.726
H -4.902 -0.094 0.701
H 3.432 -4.180 1.260
H 1.130 5.110 2.641
H -3.477 -1.502 -4.225
*
```

For each atom in turn, the natural (NBO) charge in e is:
1. Ga 1.03
2. O -0.62
3. O -0.53
4. O -0.54
5. O -0.50
6. O -0.50
7. O -0.61
8. O -0.45
9. O -0.87
10. O -0.53
11. O -0.46
12. O -0.83
13. N -0.79
14. N -0.81
15. C -0.10
16. C -0.70
17. C -0.62
18. C 0.97
19. C -0.09
20. C -0.13
21. C 0.17
22. C -0.63
23. C 0.07
24. C 0.07
25. C 0.06
26. C -0.69
27. C 0.28
28. C 0.46
29. C -0.63
30. C -0.92
31. C 0.98
32. C 0.97
33. H 0.25
34. H 0.22
35. H 0.20
36. H 0.17
37. H 0.23
38. H 0.21
39. H 0.20
40. H 0.18
41. H -0.40
42. H 0.19
43. H 0.22
44. H 0.17
45. H 0.25
46. H 0.16
47. H 0.19
48. H 0.13
49. H 0.17
50. H 0.21
51. H 0.19
52. H 0.24
53. H 0.31
54. H 0.22
55. H 0.18
56. H 0.23
57. H 0.20
58. H 0.22
59. H 0.22
60. H 0.25
61. H 0.30

***

A structure of composition C18H29N2O5P2STi in a non-equilibrium geometry, computed with the ωB97M-V functional and the def2-TZVPD basis.

Orbital gap (spin up / spin down) in Ha: 0.2342 / 0.2364
Energy above the lowest of the compared OMol25 structures with the same formula, charge and spin in kcal/mol: 0.0
Total energy in eV: -84880.50397

The geometry in ORCA input format:
```
! RIJCOSX wB97M-V def2-TZVPD def2/J DEFGRID3
* xyz 0 2
Ti -0.308 -0.358 0.040
S 2.994 0.107 0.279
P 0.119 -1.605 -2.059
P -0.732 -0.289 2.409
O -0.126 4.046 -2.745
O 3.080 -0.612 1.521
O 3.330 -0.547 -0.971
O 0.326 2.701 -0.369
O -4.961 1.169 -4.253
N -1.838 -1.939 0.266
N 1.455 0.775 0.116
C -3.527 -3.130 1.494
C -2.427 -2.275 1.436
C 2.722 2.714 0.229
C 1.393 2.147 -0.039
C 1.357 -2.892 -2.017
C -2.231 -2.563 -0.917
C 4.401 4.383 0.636
C 3.068 4.059 0.391
C -1.858 -1.712 2.727
C 5.027 2.025 0.574
C -1.458 -2.394 -2.088
C 0.515 -0.370 3.730
C -4.045 -3.651 0.307
C -1.793 1.057 3.105
C -3.395 -3.383 -0.880
C 5.379 3.376 0.700
C 3.685 1.729 0.365
C 0.406 -0.572 -3.501
H -0.968 3.980 -3.162
H -1.840 0.327 0.245
H 0.405 -1.325 1.172
H 0.082 -0.390 4.744
H -1.813 1.078 4.212
H 0.219 -1.183 -4.397
H -4.619 0.429 -4.741
H -0.273 0.297 -3.494
H 5.746 1.210 0.626
H 1.113 -1.278 3.558
H -4.932 -4.276 0.322
H 2.307 -2.462 -1.673
H -3.971 -3.355 2.452
H -1.815 -2.853 -3.007
H -1.684 0.809 -0.325
H 4.698 5.421 0.774
H -2.663 -1.442 3.429
H -1.417 2.044 2.781
H 1.183 0.501 3.645
H -1.252 -2.478 3.236
H -3.733 -3.767 -1.847
H 1.451 -0.222 -3.441
H -2.841 0.972 2.760
********
Activity >
Now retype the whole of the lines earlier on without additions.
Solution >
A structure of composition C18H29GaN2O11, computed with the ωB97M-V functional and the def2-TZVPD basis.

Orbital gap in Ha: 0.1301
Energy above the lowest of the compared OMol25 structures with the same formula, charge and spin in kcal/mol: 0.0
Total energy in eV: -97015.00420

The geometry in ORCA input format:
```
! RIJCOSX wB97M-V def2-TZVPD def2/J DEFGRID3
* xyz -2 1
Ga -1.895 1.258 -2.097
O -1.068 -4.107 -1.877
O 2.682 1.609 2.494
O 1.010 0.743 1.250
O 4.467 -1.183 4.326
O 4.721 -3.257 3.576
O 5.739 -2.633 5.486
O -2.257 -2.446 -2.838
O -4.140 0.306 -3.680
O -1.680 -4.212 -4.045
O 0.678 2.577 2.512
O -2.987 1.976 -4.617
N -0.505 4.226 -0.102
N -2.822 1.352 -0.368
C 3.923 -1.198 2.991
C -1.642 -0.435 0.864
C -2.259 -3.503 -6.302
C 1.398 1.564 2.005
C 2.848 2.868 3.148
C -2.564 -2.097 -4.197
C -0.170 3.417 -1.048
C 3.725 -3.135 1.345
C 1.424 3.202 3.557
C 3.662 -2.671 2.775
C -2.626 -3.463 -4.841
C -4.091 0.222 1.357
C -2.833 0.441 0.497
C -3.215 1.172 -3.683
C 1.091 4.669 3.637
C -0.846 3.078 -2.286
C -1.624 -3.611 -2.814
C 5.041 -2.383 4.551
H -1.017 -0.678 0.009
H -0.146 2.970 -3.113
H 1.796 5.180 4.297
H -1.930 -1.365 1.368
H 0.084 4.814 4.024
H -1.631 3.803 -2.512
H -4.385 1.185 1.781
H 3.243 3.587 2.424
H -0.834 0.021 -2.133
H -1.747 -1.478 -4.578
H -1.039 0.139 1.567
H -3.952 -0.490 2.176
H 3.047 -2.538 0.734
H -3.610 -3.916 -4.676
H 2.712 -2.961 3.231
H 0.780 2.894 -0.874
H 1.176 2.689 4.494
H 4.741 -3.035 0.960
H 3.534 2.772 3.987
H 3.032 -0.587 2.931
H -1.403 4.651 -0.349
H -1.206 -3.251 -6.429
H 4.677 -0.805 2.305
H -2.866 -2.783 -6.852
H -2.422 -4.496 -6.726
H -4.902 -0.094 0.701
H 3.432 -4.180 1.260
H 1.130 5.110 2.641
H -3.477 -1.502 -4.225
*
```

For each atom in turn, the natural (NBO) charge in e is:
1. Ga 1.03
2. O -0.62
3. O -0.53
4. O -0.54
5. O -0.50
6. O -0.50
7. O -0.61
8. O -0.45
9. O -0.87
10. O -0.53
11. O -0.46
12. O -0.83
13. N -0.79
14. N -0.81
15. C -0.10
16. C -0.70
17. C -0.62
18. C 0.97
19. C -0.09
20. C -0.13
21. C 0.17
22. C -0.63
23. C 0.07
24. C 0.07
25. C 0.06
26. C -0.69
27. C 0.28
28. C 0.46
29. C -0.63
30. C -0.92
31. C 0.98
32. C 0.97
33. H 0.25
34. H 0.22
35. H 0.20
36. H 0.17
37. H 0.23
38. H 0.21
39. H 0.20
40. H 0.18
41. H -0.40
42. H 0.19
43. H 0.22
44. H 0.17
45. H 0.25
46. H 0.16
47. H 0.19
48. H 0.13
49. H 0.17
50. H 0.21
51. H 0.19
52. H 0.24
53. H 0.31
54. H 0.22
55. H 0.18
56. H 0.23
57. H 0.20
58. H 0.22
59. H 0.22
60. H 0.25
61. H 0.30

***

A structure of composition C18H29N2O5P2STi in a non-equilibrium geometry, computed with the ωB97M-V functional and the def2-TZVPD basis.

Orbital gap (spin up / spin down) in Ha: 0.2342 / 0.2364
Energy above the lowest of the compared OMol25 structures with the same formula, charge and spin in kcal/mol: 0.0
Total energy in eV: -84880.50397

The geometry in ORCA input format:
```
! RIJCOSX wB97M-V def2-TZVPD def2/J DEFGRID3
* xyz 0 2
Ti -0.308 -0.358 0.040
S 2.994 0.107 0.279
P 0.119 -1.605 -2.059
P -0.732 -0.289 2.409
O -0.126 4.046 -2.745
O 3.080 -0.612 1.521
O 3.330 -0.547 -0.971
O 0.326 2.701 -0.369
O -4.961 1.169 -4.253
N -1.838 -1.939 0.266
N 1.455 0.775 0.116
C -3.527 -3.130 1.494
C -2.427 -2.275 1.436
C 2.722 2.714 0.229
C 1.393 2.147 -0.039
C 1.357 -2.892 -2.017
C -2.231 -2.563 -0.917
C 4.401 4.383 0.636
C 3.068 4.059 0.391
C -1.858 -1.712 2.727
C 5.027 2.025 0.574
C -1.458 -2.394 -2.088
C 0.515 -0.370 3.730
C -4.045 -3.651 0.307
C -1.793 1.057 3.105
C -3.395 -3.383 -0.880
C 5.379 3.376 0.700
C 3.685 1.729 0.365
C 0.406 -0.572 -3.501
H -0.968 3.980 -3.162
H -1.840 0.327 0.245
H 0.405 -1.325 1.172
H 0.082 -0.390 4.744
H -1.813 1.078 4.212
H 0.219 -1.183 -4.397
H -4.619 0.429 -4.741
H -0.273 0.297 -3.494
H 5.746 1.210 0.626
H 1.113 -1.278 3.558
H -4.932 -4.276 0.322
H 2.307 -2.462 -1.673
H -3.971 -3.355 2.452
H -1.815 -2.853 -3.007
H -1.684 0.809 -0.325
H 4.698 5.421 0.774
H -2.663 -1.442 3.429
H -1.417 2.044 2.781
H 1.183 0.501 3.645
H -1.252 -2.478 3.236
H -3.733 -3.767 -1.847
H 1.451 -0.222 -3.441
H -2.841 0.972 2.760